Author : Rahul
Last Modified : 27-Apr-2021
Complexity : Intermediate

Dependency Injection Explained - C#

-- What comes next are crystal structures, not part of the piece --
+++
# LiCu4NiGe2 PBE relaxed
# Density (g/cm³): 7.7
# M_tot (Bohr magnetons per cell): 0.004
# E (eV/atom): -4.031
data_LiCu4NiGe2
_symmetry_space_group_name_H-M 'P 1'
_symmetry_Int_Tables_number 1
_cell_length_a 4.138
_cell_length_b 4.138
_cell_length_c 5.855
_cell_angle_alpha 90.00
_cell_angle_beta 90.00
_cell_angle_gamma 90.00
loop_
_symmetry_equiv_pos_as_xyz
'x,y,z'
loop_
_atom_site_label
_atom_site_fract_x
_atom_site_fract_y
_atom_site_fract_z
Cu1 0.500 0.000 0.249
Cu2 0.000 0.500 0.249
Cu3 0.500 0.000 0.751
Cu4 0.000 0.500 0.751
Ge1 0.000 0.000 0.000
Ge2 0.500 0.500 0.500
Li1 0.500 0.500 0.000
Ni1 0.000 0.000 0.500
+++

To know about Dependency Injection(DI), we first need to know about the Dependency Inversion Principle(DIP) and Inversion of Controls(IoC). So we start our discussion about the Dependency Inversion Principle, after that, we will discuss Inversion of Controls and at last, we will discuss Dependency Injection. 

Dependency Inversion Principle(DIP):
This principle is related to dependencies between modules. It provides some guidelines which say how to write loosely coupled modules/classes. The definition of DIP is given by Robert C. Martin is as follows:


  1. High-level modules should not depend on low-level modules. Both should depend on abstractions.
  2. Abstractions should not depend on details. Details should depend on abstractions.


To understand this principle, we will take one example.

Suppose we have a Student class. The functionality of this class is to create a student and if there is some problem in creating a student, write an exception into the file using File_Log class. Here Student class is dependent on File_Log class. Our classes look like this:

  class File_Log
    public void Log(string error)
      System.IO.File.WriteAllText(@"c:\Error.txt", error);

  class Student
    private File_Log obj = new File_Log();
    public void CreateStudent()
        // Add code to create new student
      catch (Exception ex)

//In the main method

Student objstudent = new Student();

In one go, the above class design looks good. But the above design violates the Dependency Inversion Principle(DIP). If we look at both Student and File_Log classes, we see that the high-level module (Student) is dependent on the low-level module (File_Log).
To understand the problem, we will extend the requirement. Now we want to send an email to this error message, So our class design will look like this:

  class File_Log
    public void Log(string error)
      System.IO.File.WriteAllText(@"c:\Error.txt", error);

  class Email_Log
    public void Log(string error)
      //Send error on email

  class Student
    private File_Log obj = new File_Log();
    private Email_Log obj1 = new Email_Log();
    public void CreateStudent(int logType)
        // Add code to create new student
      catch (Exception ex)
        if (logType == 1)

//In the main method

Student objstudent = new Student();

//If we want to log the message in txt file

//If we want to log the message in email

Here we see that for every new log type, our student class is changed.

Inversion of Controls(IoC):
The Dependency Inversion Principle is a principle, it only says, how two modules/classes should depend on each other but it does not say which mechanism we need to follow to achieve this principle. Inversion of Controls(IoC) provides us with the actual mechanism through which we can implement the Dependency Inversion Principle and our high-level module/class will depend on abstraction instead of low-level module/class.


To resolve it we have created a common interface for logging and implement that interface accordingly.

  interface ILog
    void Log(string error);

  class File_Log : ILog
    public void Log(string error)
      System.IO.File.WriteAllText(@"c:\Error.txt", error);

  class Email_Log : ILog
    public void Log(string error)
      //Send error on email

  class Student
    private ILog obj = null;
    public void CreateStudent(int logType)
        // Add code to create new student
      catch (Exception ex)
        if (logType == 1)
          obj = new File_Log();
          obj = new Email_Log();

//In the main method

Student objstudent = new Student();

//If we want to log the message in txt file

//If we want to log the message in email

The above code looks ok at this time but there is one problem with this code. This code violates the Single Responsibility Principle. Here our student class is doing two things, one is creating a student and the other is creating a logging object.
So our Student class and Logging class is not completely decoupled. Now to make these classes completely decoupled, Dependency Injection(DI) comes into the picture. So Dependency Injection(DI) is mainly used to decouple the classes/modules.

Dependency Injection(DI):
To understand dependency injection, we understand injection. In the real world, "To manually enter something into your body is called injection." 
Similarly, To remove dependencies between two modules/objects, when we inject some module/object from outside is called dependency injection.
So Dependency Injection is used to remove tight coupling between the classes/modules and develop loosely coupled classes/modules.


There is three-way to implement dependency injection.

  1. Constructor Injection
  2. Method Injection
  3. Property Injection

Constructor Injection

In this approach, we pass the object of the low-level module/class in the constructor of the high-level module/class. So we need a constructor in the high-level module/class which will take the object of the low-level module/class as a parameter and assign this low-level module/class object into the interface handle of the high-level module/class.

Now our classes will look like this:


  interface ILog
    void Log(string error);

  class File_Log : ILog
    public void Log(string error)
      System.IO.File.WriteAllText(@"c:\Error.txt", error);

  class Email_Log : ILog
    public void Log(string error)
      //Send error on email

  class Student
    private ILog obj = null;

    public Student(ILog ilog)
      obj = ilog;

    public void CreateStudent()
        // Add code to create new student
      catch (Exception ex)

//In the main method

Student objstudent = null;
File_Log file_log = new File_Log();
Email_Log email_log = new Email_Log();

//If we want to log the message in txt file
objstudent = new Student(file_log);

//If we want to log the message in email
objstudent = new Student(email_log);


The main disadvantage of this approach is that a high-level module/class will use a low-level module/class object for his entire lifetime. So if we confirm that the high-level module/class object will use the same low-level module/class object for his entire lifetime, this approach is good.

Method Injection

In this approach, we pass the object of the low-level module/class in the method of the high-level module/class. So if we want to call different low-level modules/classes for each high-level module/class method, this is a good approach. So we need a method in the high-level module/class that will also take the object of the low-level module/class as a parameter and assign this low-level module/class object into the interface handle of the high-level module/class.

=====
Here is crystalline NdCrBrO4 at its relaxed geometry from the Alexandria database. Energies are from PBE with a Hubbard U.

```
NdCrBrO4
1.0
5.2285 -3.6925 0.0000
5.2285 3.6925 0.0000
-1.7134 0.0000 6.6748
Nd Cr Br O
2 2 2 8
direct
0.2337 0.2337 0.1262
0.7663 0.7663 0.8738
0.3619 0.3619 0.7354
0.6381 0.6381 0.2646
0.0187 0.0187 0.7537
0.9813 0.9813 0.2463
0.1354 0.4925 0.8554
0.2902 0.2902 0.4943
0.4770 0.4770 0.2321
0.4925 0.1354 0.8554
0.5075 0.8646 0.1446
0.5230 0.5230 0.7679
0.7098 0.7098 0.5057
0.8646 0.5075 0.1446
```

Computed properties:
Space group   No. 12
Uncorrected energy   -47.26 eV/f.u.
Volume   18.4 A^3/atom

=====

(1)
Compound: Zn4InGa
Source: Alexandria via LeMat-Bulk
Functional: GGA-PBE
Structure: relaxed

Values from the calculation:
Energy of formation, kJ/mol of formula units: 37

```
Zn4InGa
1.0
0.000 3.779 3.779
3.779 0.000 3.779
3.779 3.779 0.000
Zn In Ga
4 1 1
direct
0.125 0.125 0.125 Zn
0.125 0.125 0.624 Zn
0.125 0.624 0.125 Zn
0.624 0.125 0.125 Zn
0.750 0.750 0.750 In
0.500 0.500 0.500 Ga
```

=====

(2)
Compound: ZnInGa2
Source: Alexandria via LeMat-Bulk
Functional: GGA-PBE
Structure: relaxed

Values from the calculation:
Energy of formation, kJ/mol of formula units: 28

```
ZnInGa2
1.0
4.289 0.000 0.000
0.000 4.289 0.000
0.000 0.000 4.393
Zn In Ga
1 1 2
direct
0.000 0.000 0.000 Zn
0.500 0.500 0.000 In
0.000 0.500 0.500 Ga
0.500 0.000 0.500 Ga
```

=====

(3)
Compound: Zn3InGa
Source: Alexandria via LeMat-Bulk
Functional: GGA-PBE
Structure: relaxed

Values from the calculation:
Energy of formation, kJ/mol of formula units: 146
E above lowest polymorph, kJ/mol of formula units: 0.0

```
Zn3InGa
1.0
4.877 0.000 0.000
0.000 4.877 0.000
0.000 0.000 4.877
Zn In Ga
3 1 1
direct
0.000 0.000 0.500 Zn
0.000 0.500 0.000 Zn
0.500 0.000 0.000 Zn
0.500 0.500 0.500 In
0.000 0.000 0.000 Ga
```

=====

(4)
Compound: Zn2In2Ga
Source: Alexandria via LeMat-Bulk
Functional: GGA-PBE
Structure: relaxed

Values from the calculation:
Energy of formation, kJ/mol of formula units: 77
E above lowest polymorph, kJ/mol of formula units: 38.2

```
Zn2In2Ga
1.0
8.486 0.000 0.000
0.000 8.486 0.000
0.000 0.000 3.042
Zn In Ga
4 4 2
direct
0.113 0.387 0.000 Zn
0.387 0.887 0.000 Zn
0.613 0.113 0.000 Zn
0.887 0.613 0.000 Zn
0.184 0.684 0.500 In
0.316 0.184 0.500 In
0.684 0.816 0.500 In
0.816 0.316 0.500 In
0.000 0.000 0.500 Ga
0.500 0.500 0.500 Ga
```

=====

(5)
Compound: Zn2In2Ga
Source: Alexandria via LeMat-Bulk
Functional: GGA-PBE
Structure: relaxed

Values from the calculation:
Energy of formation, kJ/mol of formula units: 38
E above lowest polymorph, kJ/mol of formula units: 0.0

```
Zn2In2Ga
1.0
6.991 0.000 0.000
0.000 6.991 0.000
0.000 0.000 4.345
Zn In Ga
4 4 2
direct
0.131 0.369 0.000 Zn
0.369 0.869 0.000 Zn
0.631 0.131 0.000 Zn
0.869 0.631 0.000 Zn
0.176 0.676 0.500 In
0.324 0.176 0.500 In
0.676 0.824 0.500 In
0.824 0.324 0.500 In
0.000 0.000 0.000 Ga
0.500 0.500 0.000 Ga
```

=====

(6)
Compound: ZnIn12Ga6
Source: Alexandria via LeMat-Bulk
=====



Now our classes will look like this:


  interface ILog
    void Log(string error);

  class File_Log : ILog
    public void Log(string error)
      System.IO.File.WriteAllText(@"c:\Error.txt", error);

  class Email_Log : ILog
    public void Log(string error)
      //Send error on email

  class Student
    private ILog obj = null;

    public void CreateStudent(ILog ilog)
    obj = ilog;
        // Add code to create new student
      catch (Exception ex)

//In the main method

Student objstudent = new Student();
File_Log file_log = new File_Log();
Email_Log email_log = new Email_Log();

//If we want to log the message in txt file

//If we want to log the message in email

The main disadvantage of this approach is that high-level module/class method invocation and low-level module/class object selection is done at the same place. So if we want that the high-level module/class method invocation and low-level module/class object selection are done at the same place, this approach is good.

Property Injection

This is also known as setter injection. In this approach, we pass the object of the low-level module/class in the property of the high-level module/class. So if we want to select the low-level module/class and invocation of high-level module/class method in different places, this is a good approach. So we need a property in the high-level module/class which will accept an object of low-level module/class as a setter property/method and assign this low-level module/class object into the interface handle of the high-level module/class.

Now our classes will look like this:

  interface ILog
    void Log(string error);

  class File_Log : ILog
    public void Log(string error)
      System.IO.File.WriteAllText(@"c:\Error.txt", error);

  class Email_Log : ILog
    public void Log(string error)
      //Send error on email

  class Student
    private ILog obj = null;

    public ILog Log
        return obj;
        obj = value;

    public void CreateStudent()
        // Add code to create new student
      catch (Exception ex)

//In the main method

Student objstudent = new Student();
File_Log file_log = new File_Log();
Email_Log email_log = new Email_Log();

//If we want to log the message in txt file
objstudent.Log = file_log;

//If we want to log the message in email
objstudent.Log = email_log;


The approach is not useful for languages that do not support properties. In that case, we need a separate method that will do the same thing.